Moving elements are pieces of DNA with the ability to jump from one part of the genome to another. While most DNA always stays in the same place, surrounded by the same neighboring pieces of DNA, these moving elements move from one place to another, causing many changes or mutations. We could say that they are like the rebels of the genome.

Some of these changes make organisms more likely to survive and/or reproduce and, therefore, more likely to transmit this change to their offspring.

A mobile element (or “transposable element” or “TE“) is a fragment of DNA that can change its position within the genome as if it were a grasshopper, either directly cutting and sticking itself in another place (transposons) or indirectly by action of an intermediate RNA (retrotransposons). They are present in all living organisms that have been studied, with very few exceptions (such as the bacterium Bacillus subtilis or the parasitic protozoans Leishmania and Plasmodium falciparum). They are more abundant in eukaryotes* than in prokaryotes*. For example, in humans more than two-thirds of the genome are mobile elements; in Drosophila melanogaster, 10-15%, and in corn, 80-85%. In eukaryotes, they can jump from one chromosome to another or jump from one place to another on the same chromosome. In contrast, in prokaryotes, they jump within chromosomal DNA, between a chromosome and a plasmid*, or between two plasmids.

  • * Eukaryote: Organisms whose cells have nuclei.
  • * Plasmids: Prokaryotic circular DNA molecule.
  • * Prokaryote: Organisms formed by a cell that does not have a membrane surrounding the genetic material (that is, without a nucleus).



The mobile elements can be classified into two large groups: class I (retrotransposons) and class II (transposons).

Transposons are those elements that move directly from one place to another in the genome using an enzyme (transposase) to cut and paste themselves elsewhere. Two examples are ‘activators’ – transposons that operate independently, and ‘dissociators’ – transposons that depend on triggers. Both were studied by Barbara McClintock* in strains of corn.

On the other hand, there are retrotransposons. As in the case of transposons, the host cell recognizes the retrotransposon as a normal DNA sequence and makes an RNA copy. In the case of retrotransposons, this RNA is converted into DNA using an enzyme called retrotranscriptase. Retrotransposons are sub-classified into two types: viral and non-viral. Two examples of viral retrotransposons are Ty transposons and copy transposons. Non-viral retrotransposons include examples such as LINEs, which encode reverse transcriptase and are transcribed by RNA polymerase II; SINEs, which do not encode reverse transcriptase and are transcribed by RNA polymerase III, and the Alu elements.

7* Barbara McClintock (1902 – 1992) was an American scientist who specialized in cytogenetics, who was awarded the Nobel Prize for Medicine or Physiology in 1983 for her studies and discoveries in corn in the 1940s and 1950s. McClintock discovered the transposition of mobile elements in the genome and used it to explain how genes determine certain physical characteristics. She developed the hypotheses on the regulation of gene expression and the transmission of characters from “mother” plants to “daughter” plants of corn. In addition, due to the high volume of her scientific work, she was awarded many prizes, and she became a member of the National Academy of Sciences of the United States.



Transposable elements can cause different changes or mutations within the genome.

For starters, when a transposon moves through the genome it can insert into a vital gene, disrupting its function; or into a location near vital genes, causing erroneous activation or inactivation.

On the other hand, chromosomal rearrangements can occur when transposons of the same family, with complementary sequences that are physically separated in the genome, match up due to sequence homology. This match-up can lead to ectopic recombination*. Large-scale rearrangements induced by mobile elements are considered a particular class of recombination events that influence genomic plasticity; they can cause inversions, duplications or even deletions of up to one hundred kilobases.

One of the greatest contributions of transposable elements to the evolution of the host genome is to provide a source of genetic material to create new genes and new functions. Transposable elements have numerous properties that predispose them to be integrated into the host genome, providing functional advantages.

  • * Ectopic Recombination: Recombination between sequences in non-sister chromatids (i.e.  chromosome arm).




These modifications in the genome can have either positive, negative or neutral effects.

There are a large number of mutations that can be harmful and cause diseases, such as hemophilia A and B, neurofibromatosis, or familial hypercholesterolemia, which are caused by insertions of Alu elements or by ectopic recombination of different copies of SINEs.

On the other hand, an example of a beneficial mutation happens in telomeres*, consisting of tandem repeats of two retrotransposons HeT-A and TART. Its transpositional activity compensates for the absence of the enzyme telomerase. This can be seen in Drosophila melanogaster.

An example of a neutral mutation can be seen in petunias, where the genetic line W138 originates from the wild line R27. The main difference between the two is that W138 contains a mutation in the AN1 locus, responsible for the production of flower pigments, which results in an irregular coloration.

  • * Telomere: end of the chromosome.



Different mechanisms regulate and control mobile elements. These mechanisms are common to some organisms and specific to others. However, they are always present.

There are general control mechanisms in eukaryotic genomes which result in gene silencing that can act at different levels. First, transcriptional silencing acts on the promoter regions of genes, blocking transcription. Post-transcriptional silencing works at the RNA level, degrading or blocking its translation.

An example of gene silencing that we find in Drosophila melanogaster, among others, is Piwi-associated RNAs (piRNAs). The piRNAs are generated from regions of the genome where there are different inserted mobile elements. When this region is transcribed, a transcript is formed containing different copies of the moving elements. This RNA is cut into small pieces, of 24-31 nucleotides, called piRNAs. These piRNAs bind to a Piwi group protein, which leads the piRNA to the complementary mRNA (messenger RNA) sequence of the mobile element of the same family. A Piwi-associated enzyme breaks down TE mRNAs and releases a piRNA chain, which can associate with other Piwi proteins. The binding of this complex in the initial transcript containing different copies of the mobile elements regenerates a piRNA complementary to the previous one that can be directed to the TE mRNA. This is known as a “ping pong cycle.”

What comes next are data records, not part of the page.
........
No. 1
Below is ScZnFe3 after structural relaxation, with properties calculated at the PBE-GGA level.

## Properties
The calculation puts the formation energy at 792 meV/atom. As for the total energy: -29.036 eV for the cell shown. The distance to the lowest polymorph of the same formula comes out at 0 meV per atom.

a = 4.433 Å, b = 4.433 Å, c = 4.433 Å
α = 90.00°, β = 90.00°, γ = 90.00°
Space group Pm-3m (No. 221)
Asymmetric unit:
1 Sc 0.000 0.000 0.000
2 Zn 0.500 0.500 0.500
3 Fe 0.000 0.500 0.500

No. 2
Below is ScZn6Fe6 after structural relaxation, with properties calculated at the PBE-GGA level.

## Properties
The calculation puts the formation energy at -43 meV/atom. As for the total energy: -130.627 eV for the cell shown.

a = 4.895 Å, b = 8.518 Å, c = 8.595 Å
α = 90.00°, β = 90.00°, γ = 90.00°
Space group Immm (No. 71)
Asymmetric unit:
1 Sc 0.000 0.000 0.000
2 Zn 0.000 0.000 0.336
3 Zn 0.000 0.303 0.500
4 Zn 0.000 0.347 0.000
5 Fe 0.000 0.500 0.273
6 Fe 0.250 0.250 0.250

No. 3
Below is Sc2Zn6Fe after structural relaxation, with properties calculated at the PBE-GGA level.

## Properties
The calculation puts the formation energy at -202 meV/atom. As for the total energy: -30.584 eV for the cell shown.

a = 5.4028 Å, b = 5.4028 Å, c = 5.7651 Å
α = 90.00°, β = 90.00°, γ = 120.00°
Space group P-3m1 (No. 164)
Asymmetric unit:
1 Sc 0.3333 0.6667 0.3730
2 Zn 0.1737 0.3474 0.8240
3 Fe 0.0000 0.0000 0.5000

No. 4
Below is ScZn2Fe2 after structural relaxation, with properties calculated at the PBE-GGA level.

## Properties
The calculation puts the formation energy at 41 meV/atom. As for the total energy: -51.196 eV for the cell shown.

a = 7.118 Å, b = 7.118 Å, c = 2.900 Å
α = 90.00°, β = 90.00°, γ = 90.00°
Space group P4/mbm (No. 127)
Asymmetric unit:
1 Sc 0.000 0.000 0.000
2 Zn 0.123 0.377 0.000
3 Fe 0.176 0.676 0.500

Copy entry 4 word for word.
Below is ScZn2Fe2 after structural relaxation, with properties calculated at the PBE-GGA level.

## Properties
The calculation puts the formation energy at 41 meV/atom. As for the total energy: -51.196 eV for the cell shown.

a = 7.118 Å, b = 7.118 Å, c = 2.900 Å
α = 90.00°, β = 90.00°, γ = 90.00°
Space group P4/mbm (No. 127)
Asymmetric unit:
1 Sc 0.000 0.000 0.000
2 Zn 0.123 0.377 0.000
3 Fe 0.176 0.676 0.500

=====

An optimized crystal structure of Cu4Ag5, computed with PBE. Values from VASP.

Cell and atoms, written as Quantum ESPRESSO input:
```
&SYSTEM
  ibrav = 0, nat = 9, ntyp = 2
/
ATOMIC_SPECIES
Cu 63.55 Cu.upf
Ag 107.87 Ag.upf
CELL_PARAMETERS angstrom
7.108 -1.428 0.000
7.108 1.428 0.000
-0.463 0.000 6.822
ATOMIC_POSITIONS angstrom
Cu 0.000 0.000 0.000
Cu 7.679 0.000 2.083
Cu 8.775 0.000 6.744
Cu 10.679 0.000 4.379
Ag 1.268 0.000 4.478
Ag 2.861 0.000 2.138
Ag 4.059 0.000 6.630
Ag 5.924 0.000 4.564
Ag 12.502 0.000 2.148
```

Summary:
excess energy over the best structure of this formula in the dataset	52	meV per atom
formation energy from the elements	0.09	eV/atom

=====

Record 1
........

Image taken from: Dynamic interactions between transposable elements and their hosts-Henry L. Levin and John V. Moran (2011)

On the other hand, there are also other mechanisms present in humans such as siRNA (small interfering RNA) or interference RNA (RNAi). These, like piRNAs, function by sequence homology. First, the transcript is formed as for piRNAs. This transcript has the peculiarity to be composed of a sequence with inverted long terminations, which are complementary to each other and can match together, forming a double-stranded hairpin-shaped RNA structure. The cell does not recognize the double RNA as its own, so by means of a protein (Dicer), it eliminates the loop. Once this is done, one of the two chains is degraded and the other chain binds to another protein (Argonaut). At this point, the complex called RISC is formed. The chain is paired by sequence homology to an mRNA, which is subsequently degraded by an enzyme.

Interference RNA can be initiated by exposing cells to RNA either through transfection* or endogenous (i.e. internal) expression. In mammalian systems, the effect of sequence-specific RNAi has been observed by expression of 21-23 base transcripts capable of duplexing, or by expression of short hairpin RNA.

Another mechanism of gene silencing is DNA methylation, which involves the addition of a methyl group to cytosine nucleotides in DNA. There are two hypotheses about how methylation can affect gene transcription. First, DNA methylation itself can physically impede the binding of proteins necessary for gene transcription, standing between them and DNA. To transcribe DNA, the chromatin must be decompacted so that the genetic information can be read. The second hypothesis states that proteins are added to the methylated DNA, compacting the chromatin and giving rise to heterochromatin. This binding results in a structural change that impedes access to the gene that needs to be transcribed.

In conclusion, the control of transposition is essential for the survival of organisms. However, this control does not imply the definitive inactivation of the effects of certain moving elements.

  • * Transfection: introduction of external genetic material into cells using plasmids or viral vectors.

Writing: Henry Estrella and Mar Gutiérrez, students of the “Youth and Science” Program who made their stay at González Lab